**Exercise:**
Work out how many lines further below have the word "method" in them; a number is enough, please.

**Contents:**
____________
Entry 1:
{"formula": "C4H13NO2", "method": "the ωB97M-V functional and the def2-TZVPD basis", "relative_energy_kcal_mol": 30.7, "homo_energy_ev": -8.650, "energy_ev": -9942.86322, "charge": 0, "gap_ha": 0.343, "max_force_ev_per_a": 2.578, "e_lumo_ev": 0.69, "elements": ["C", "O", "C", "C", "C", "N", "H", "H", "H", "H", "H", "H", "H", "H", "H", "H", "H", "H", "H", "O"], "xyz": [[-0.123242, -1.893399, -0.800025], [-0.007381, -1.942491, -2.214654], [-0.677560, -0.463607, -0.353373], [0.032911, 0.670029, -1.071947], [1.119517, 1.513547, -0.347203], [0.810534, 1.998582, 1.021619], [-0.741136, -2.678252, -0.381740], [0.923090, -1.912132, -0.489352], [-0.851242, -2.015521, -2.654872], [-1.739630, -0.576617, -0.639975], [-0.661014, -0.452576, 0.725073], [0.636353, 0.221673, -1.856514], [-0.675167, 1.347892, -1.531549], [1.505170, 2.246747, -1.038133], [1.950588, 0.827391, -0.119991], [-0.008607, 1.502770, 1.346645], [0.632673, 2.981904, 1.166735], [-1.424659, -0.130254, 3.325387], [-0.229106, -1.039608, 2.745587], [-0.472091, -0.206078, 3.168281]], "forces_ev_per_a": [[0.537, 2.510, -0.232], [0.287, -0.521, -0.022], [-0.405, -2.201, -0.786], [0.912, 0.782, 0.126], [-0.008, -1.478, 1.616], [-0.477, 0.066, -0.432], [0.075, -0.326, 0.097], [-0.133, -0.588, 0.340], [-0.469, -0.003, 0.090], [0.221, 0.728, 0.119], [0.084, 0.361, 0.388], [-0.362, -0.053, -0.509], [-0.278, 0.108, -0.138], [-0.051, 0.527, 0.034], [0.043, 0.026, -0.638], [0.073, -0.010, 0.339], [0.007, 0.110, -0.527], [0.408, -0.592, -0.261], [-0.595, 0.136, 0.250], [0.133, 0.420, 0.145]], "nbo_charge": [-0.055, -0.728, -0.434, -0.435, -0.209, -0.857, 0.164, 0.174, 0.465, 0.193, 0.203, 0.229, 0.200, 0.195, 0.170, 0.360, 0.357, 0.478, 0.477, -0.948]}

Entry 2:
{"formula": "C4H13NO2", "method": "the ωB97M-V functional and the def2-TZVPD basis", "relative_energy_kcal_mol": 69.3, "homo_energy_ev": -7.996, "energy_ev": -9941.18955, "charge": 0, "gap_ha": 0.325, "max_force_ev_per_a": 5.004, "e_lumo_ev": 0.85, "elements": ["C", "N", "C", "C", "C", "O", "H", "H", "H", "H", "H", "H", "H", "H", "H", "H", "H", "H", "H", "O"], "xyz": [[2.065179, 0.043284, 0.187962], [0.546005, 0.370687, 0.168971], [0.273896, 1.770830, -0.017323], [-0.295927, -0.418271, 1.092023], [0.263754, -1.868556, 1.335566], [-0.762149, -2.697809, 2.058309], [2.548778, 0.583319, -0.630274], [2.649288, 0.205650, 1.158334], [2.137537, -0.995870, -0.103724], [1.212418, 2.236337, 0.334289], [-0.665583, 2.225832, 0.549448], [0.182807, 1.958995, -1.076932], [-1.375245, -0.347761, 0.749477], [-0.309380, 0.036546, 2.015842], [1.222101, -1.743650, 1.828373], [0.535911, -2.475869, 0.333429], [-0.928727, -2.015916, 2.869173], [-2.982999, 0.396543, -4.535585], [-3.504778, 1.634405, -4.394656], [-2.812886, 1.101279, -3.922706]], "forces_ev_per_a": [[-1.765, 0.350, 0.391], [1.675, -2.165, 0.238], [-0.372, 0.859, 1.453], [0.031, -0.902, -2.706], [-1.439, -1.274, -2.637], [1.524, 4.250, 2.157], [-0.180, 0.237, 0.265], [-0.972, 0.063, -0.980], [0.192, -0.256, 0.176], [-0.734, 0.841, -0.039], [1.978, -1.204, -1.032], [-0.297, 0.406, -0.332], [1.238, -0.638, 0.027], [0.044, 1.146, 2.723], [-0.076, -0.404, 0.698], [-1.006, 1.498, 2.141], [0.154, -2.813, -2.552], [0.799, -1.724, -0.108], [0.856, 0.569, 1.315], [-1.651, 1.161, -1.200]], "nbo_charge": [-0.433, -0.459, -0.409, -0.231, -0.078, -0.706, 0.207, 0.173, 0.203, 0.181, 0.196, 0.198, 0.203, 0.147, 0.169, 0.183, 0.452, 0.457, 0.456, -0.912]}

Entry 3:
____________

**Done:**
2